What to do >
Next, retype everything further down word for word.
Contents >
Record 1
Structure and calculated powder diffraction line list of Y7TmO12 (a DFT-relaxed cell (GGA-PBE, Alexandria); Cu Kα (weighted mean of Kα1 and Kα2)).
No peak broadening, texture or thermal motion is included.

Structure:
```
Y7TmO12
1.0
-5.335 5.336 5.338
5.335 -5.336 5.338
5.335 5.336 -5.338
Y Tm O
14 2 24
direct
0.001 0.000 0.499
0.001 0.502 0.001
0.032 0.750 0.782
0.218 0.468 0.750
0.250 0.283 0.033
0.282 0.032 0.250
0.468 0.250 0.718
0.499 0.500 0.501
0.499 0.998 0.999
0.533 0.750 0.283
0.716 0.966 0.750
0.750 0.217 0.467
0.784 0.534 0.250
0.967 0.250 0.217
0.250 0.783 0.533
0.750 0.717 0.967
0.012 0.240 0.469
0.027 0.772 0.042
0.046 0.535 0.274
0.229 0.260 0.272
0.229 0.985 0.458
0.240 0.228 0.770
0.260 0.031 0.989
0.271 0.543 0.031
0.271 0.728 0.756
0.454 0.728 0.489
0.473 0.515 0.744
0.488 0.957 0.228
0.509 0.040 0.771
0.532 0.490 0.262
0.542 0.272 0.511
0.728 0.270 0.238
0.730 0.460 0.969
0.740 0.965 0.011
0.760 0.772 0.226
0.770 0.738 0.729
0.772 0.010 0.542
0.958 0.469 0.730
0.968 0.230 0.958
0.991 0.762 0.531
```

Main lines, in order of rising 2θ (2θ = 5–70°):
- 20.4°, 4.357 Å, intensity 15
- 29.0°, 3.081 Å, intensity 100
- 33.6°, 2.668 Å, intensity 27
- 35.7°, 2.516 Å, intensity 7
- 43.2°, 2.093 Å, intensity 10
- 48.2°, 1.887 Å, intensity 42
- 57.3°, 1.609 Å, intensity 30
- 58.7°, 1.574 Å, intensity 7

=====

Record 2
Structure and calculated powder diffraction line list of Li2TbCu9 (a DFT-relaxed cell (GGA-PBE, Alexandria); Cu Kα (weighted mean of Kα1 and Kα2)).
No peak broadening, texture or thermal motion is included.

Structure:
```
Li2TbCu9
1.0
8.306 0.000 0.000
0.000 8.306 0.000
0.000 0.000 4.912
Li Tb Cu
4 2 18
direct
0.114 0.386 0.000
0.386 0.886 0.000
0.614 0.114 0.000
0.886 0.614 0.000
0.000 0.000 0.000
0.500 0.500 0.000
0.000 0.500 0.500
0.061 0.209 0.500
0.181 0.681 0.243
0.181 0.681 0.757
0.209 0.939 0.500
0.291 0.439 0.500
0.319 0.181 0.243
0.319 0.181 0.757
0.439 0.709 0.500
0.500 0.000 0.500
0.561 0.291 0.500
0.681 0.819 0.243
0.681 0.819 0.757
0.709 0.561 0.500
0.791 0.061 0.500
0.819 0.319 0.243
0.819 0.319 0.757
0.939 0.791 0.500
```

Main lines, in order of rising 2θ (2θ = 5–70°):
- 15.1°, 5.873 Å, intensity 26
- 23.6°, 3.768 Å, intensity 44
- 24.0°, 3.715 Å, intensity 26
- 35.6°, 2.521 Å, intensity 47
- 38.9°, 2.316 Å, intensity 100
- 42.8°, 2.114 Å, intensity 59
- 44.2°, 2.049 Å, intensity 49
- 45.0°, 2.014 Å, intensity 61

=====

Record 3
Structure and calculated powder diffraction line list of TiInHgBr6 (a DFT-relaxed cell (GGA-PBE, Alexandria); Cu Kα (weighted mean of Kα1 and Kα2)).
No peak broadening, texture or thermal motion is included.

Structure:
```
TiInHgBr6
1.0
7.235 0.000 0.000
-3.617 6.265 0.000
0.000 0.000 6.877
Ti In Hg Br
1 1 1 6
direct
0.000 0.000 0.000
0.333 0.667 0.500
0.667 0.333 0.000
0.297 0.017 0.218
0.297 0.280 0.782
0.720 0.017 0.782
0.720 0.703 0.218
0.983 0.280 0.218
0.983 0.703 0.782
```

Main lines, in order of rising 2θ (2θ = 5–70°):
- 12.9°, 6.877 Å, intensity 27
- 19.2°, 4.631 Å, intensity 100
- 27.9°, 3.201 Å, intensity 82
- 31.4°, 2.851 Å, intensity 26
- 36.0°, 2.492 Å, intensity 92
- 40.3°, 2.239 Å, intensity 46
- 43.3°, 2.088 Å, intensity 42
- 46.9°, 1.936 Å, intensity 21


Simulated powder X-ray diffraction pattern
Compound: AcTm2MgHg4
Radiation: CuKα
Structure: the PBE geometry in Alexandria
Peak positions follow from Bragg's law for the DFT cell and can differ from measured ones.

The 10 most intense peaks (10 to 90 degrees two-theta), low angle first:
2θ/deg	I_rel
25.51	26
32.16	90
35.41	100
40.11	13
45.89	9
48.58	29
61.54	29
63.58	19
74.93	12
83.88	12

```
AcTm2MgHg4
1.0
2.5348 1.4634 9.5976
-2.5348 1.4634 9.5976
0.0000 -2.9269 9.5976
Ac Tm Mg Hg
1 2 1 4
Direct
0.0000 0.0000 0.0000
0.2365 0.2365 0.2365
0.7635 0.7635 0.7635
0.5000 0.5000 0.5000
0.1278 0.1278 0.1278
0.3928 0.3928 0.3928
0.6072 0.6072 0.6072
0.8722 0.8722 0.8722
```

Simulated powder X-ray diffraction pattern
Compound: Li2AcSnRh
Radiation: CuKα
Solution >
Record 1
Structure and calculated powder diffraction line list of Y7TmO12 (a DFT-relaxed cell (GGA-PBE, Alexandria); Cu Kα (weighted mean of Kα1 and Kα2)).
No peak broadening, texture or thermal motion is included.

Structure:
```
Y7TmO12
1.0
-5.335 5.336 5.338
5.335 -5.336 5.338
5.335 5.336 -5.338
Y Tm O
14 2 24
direct
0.001 0.000 0.499
0.001 0.502 0.001
0.032 0.750 0.782
0.218 0.468 0.750
0.250 0.283 0.033
0.282 0.032 0.250
0.468 0.250 0.718
0.499 0.500 0.501
0.499 0.998 0.999
0.533 0.750 0.283
0.716 0.966 0.750
0.750 0.217 0.467
0.784 0.534 0.250
0.967 0.250 0.217
0.250 0.783 0.533
0.750 0.717 0.967
0.012 0.240 0.469
0.027 0.772 0.042
0.046 0.535 0.274
0.229 0.260 0.272
0.229 0.985 0.458
0.240 0.228 0.770
0.260 0.031 0.989
0.271 0.543 0.031
0.271 0.728 0.756
0.454 0.728 0.489
0.473 0.515 0.744
0.488 0.957 0.228
0.509 0.040 0.771
0.532 0.490 0.262
0.542 0.272 0.511
0.728 0.270 0.238
0.730 0.460 0.969
0.740 0.965 0.011
0.760 0.772 0.226
0.770 0.738 0.729
0.772 0.010 0.542
0.958 0.469 0.730
0.968 0.230 0.958
0.991 0.762 0.531
```

Main lines, in order of rising 2θ (2θ = 5–70°):
- 20.4°, 4.357 Å, intensity 15
- 29.0°, 3.081 Å, intensity 100
- 33.6°, 2.668 Å, intensity 27
- 35.7°, 2.516 Å, intensity 7
- 43.2°, 2.093 Å, intensity 10
- 48.2°, 1.887 Å, intensity 42
- 57.3°, 1.609 Å, intensity 30
- 58.7°, 1.574 Å, intensity 7

=====

Record 2
Structure and calculated powder diffraction line list of Li2TbCu9 (a DFT-relaxed cell (GGA-PBE, Alexandria); Cu Kα (weighted mean of Kα1 and Kα2)).
No peak broadening, texture or thermal motion is included.

Structure:
```
Li2TbCu9
1.0
8.306 0.000 0.000
0.000 8.306 0.000
0.000 0.000 4.912
Li Tb Cu
4 2 18
direct
0.114 0.386 0.000
0.386 0.886 0.000
0.614 0.114 0.000
0.886 0.614 0.000
0.000 0.000 0.000
0.500 0.500 0.000
0.000 0.500 0.500
0.061 0.209 0.500
0.181 0.681 0.243
0.181 0.681 0.757
0.209 0.939 0.500
0.291 0.439 0.500
0.319 0.181 0.243
0.319 0.181 0.757
0.439 0.709 0.500
0.500 0.000 0.500
0.561 0.291 0.500
0.681 0.819 0.243
0.681 0.819 0.757
0.709 0.561 0.500
0.791 0.061 0.500
0.819 0.319 0.243
0.819 0.319 0.757
0.939 0.791 0.500
```

Main lines, in order of rising 2θ (2θ = 5–70°):
- 15.1°, 5.873 Å, intensity 26
- 23.6°, 3.768 Å, intensity 44
- 24.0°, 3.715 Å, intensity 26
- 35.6°, 2.521 Å, intensity 47
- 38.9°, 2.316 Å, intensity 100
- 42.8°, 2.114 Å, intensity 59
- 44.2°, 2.049 Å, intensity 49
- 45.0°, 2.014 Å, intensity 61

=====

Record 3
Structure and calculated powder diffraction line list of TiInHgBr6 (a DFT-relaxed cell (GGA-PBE, Alexandria); Cu Kα (weighted mean of Kα1 and Kα2)).
No peak broadening, texture or thermal motion is included.

Structure:
```
TiInHgBr6
1.0
7.235 0.000 0.000
-3.617 6.265 0.000
0.000 0.000 6.877
Ti In Hg Br
1 1 1 6
direct
0.000 0.000 0.000
0.333 0.667 0.500
0.667 0.333 0.000
0.297 0.017 0.218
0.297 0.280 0.782
0.720 0.017 0.782
0.720 0.703 0.218
0.983 0.280 0.218
0.983 0.703 0.782
```

Main lines, in order of rising 2θ (2θ = 5–70°):
- 12.9°, 6.877 Å, intensity 27
- 19.2°, 4.631 Å, intensity 100
- 27.9°, 3.201 Å, intensity 82
- 31.4°, 2.851 Å, intensity 26
- 36.0°, 2.492 Å, intensity 92
- 40.3°, 2.239 Å, intensity 46
- 43.3°, 2.088 Å, intensity 42
- 46.9°, 1.936 Å, intensity 21


Simulated powder X-ray diffraction pattern
Compound: AcTm2MgHg4
Radiation: CuKα
Structure: the PBE geometry in Alexandria
Peak positions follow from Bragg's law for the DFT cell and can differ from measured ones.

The 10 most intense peaks (10 to 90 degrees two-theta), low angle first:
2θ/deg	I_rel
25.51	26
32.16	90
35.41	100
40.11	13
45.89	9
48.58	29
61.54	29
63.58	19
74.93	12
83.88	12

```
AcTm2MgHg4
1.0
2.5348 1.4634 9.5976
-2.5348 1.4634 9.5976
0.0000 -2.9269 9.5976
Ac Tm Mg Hg
1 2 1 4
Direct
0.0000 0.0000 0.0000
0.2365 0.2365 0.2365
0.7635 0.7635 0.7635
0.5000 0.5000 0.5000
0.1278 0.1278 0.1278
0.3928 0.3928 0.3928
0.6072 0.6072 0.6072
0.8722 0.8722 0.8722
```

Simulated powder X-ray diffraction pattern
Compound: Li2AcSnRh
Radiation: CuKα